### Source
[1]
A 7-piece molecular cluster, H15NO6 overall. Source: the Open Molecules 2025 dataset; level of theory: ωB97M-V/def2-TZVPD.

For the energy above the lowest of the compared OMol25 structures with the same formula, charge and spin, the calculation gives 19.5 kcal per mole. As for the HOMO energy: -10.0 eV. Its energy is -515.18839 Ha. As for the spin multiplicity: 1. The gap between HOMO and LUMO is 10.425 eV. As for the SMILES: N.O.O.O.O.O.O.

```
22
Properties=species:S:1:pos:R:3:forces:R:3:mulliken_charge:R:1
N 2.654340 -1.380803 2.898147 0.45 -0.11 0.21 -0.67
H 2.540868 -1.972516 3.716029 -0.06 0.10 -0.14 0.22
H 1.790698 -0.869881 2.754378 0.24 0.13 0.04 0.23
H 3.439109 -0.752708 3.098154 -0.66 -0.12 -0.17 0.24
O -0.873500 -2.328373 -1.560684 -0.30 0.01 -0.64 -0.72
H -1.249409 -2.042389 -0.703873 0.29 -0.06 0.00 0.38
H 0.035986 -2.615267 -1.487699 0.07 -0.03 0.41 0.30
O 0.481077 2.075311 -2.340011 -0.59 -0.13 -0.52 -0.65
H -0.341652 1.681241 -2.681657 0.08 -0.27 0.34 0.33
H 0.885869 2.315375 -3.180776 0.43 0.16 0.23 0.29
O 0.920764 2.423606 4.043174 0.03 -0.09 -0.61 -0.64
H 0.884101 1.522077 3.702949 -0.03 -0.11 0.29 0.32
H 0.979780 2.920310 3.215380 0.00 0.19 0.29 0.32
O -2.243578 -1.046141 0.358195 0.15 0.53 0.00 -0.72
H -1.711065 -0.232427 0.248057 -0.07 -0.48 0.17 0.36
H -3.084533 -0.866015 -0.075186 -0.01 -0.01 0.02 0.33
O 0.382435 0.443849 0.220659 0.33 0.23 -1.28 -0.64
H 0.949164 0.079146 -0.483868 0.06 -0.79 0.70 0.32
H 0.214806 1.229642 -0.319283 -0.45 0.72 0.52 0.33
O -1.309477 -0.203981 -3.391358 0.04 -0.86 -0.03 -0.62
H -1.365998 -0.693183 -4.221245 -0.09 0.53 -0.29 0.32
H -1.193919 -0.979279 -2.796894 0.10 0.45 0.45 0.38
```
Forces are in eV/Å.



[2]
A 13-piece molecular cluster, C5H36O13 overall. Source: the Open Molecules 2025 dataset; level of theory: ωB97M-V/def2-TZVPD.

For the energy above the lowest of the compared OMol25 structures with the same formula, charge and spin, the calculation gives 45.0 kcal per mole. As for the HOMO energy: -10.0 eV. Its energy is -1190.09776 Ha. As for the spin multiplicity: 1. The gap between HOMO and LUMO is 10.050 eV.

```
54
Properties=species:S:1:pos:R:3:forces:R:3:mulliken_charge:R:1
C 10.791462 -9.941335 4.494210 0.19 0.03 -0.07 -0.72
O 10.557953 -10.858017 5.550011 -0.13 0.37 -0.21 -0.43
H 9.954769 -9.902949 3.788900 0.02 0.00 -0.03 0.25
H 10.928801 -8.949006 4.924931 -0.08 -0.02 0.04 0.27
H 11.708326 -10.184013 3.949648 -0.07 -0.04 -0.04 0.32
H 10.642505 -11.753378 5.182784 -0.02 0.11 -0.03 0.19
C 7.411535 -11.994178 5.239165 -0.48 -0.03 1.04 0.77
O 7.131709 -13.395786 5.426155 0.63 0.34 -0.38 -0.12
H 7.809386 -11.546378 6.158463 0.13 -0.32 -0.13 -0.31
H 8.143467 -11.868243 4.448750 -0.07 0.02 -0.21 0.00
H 6.489412 -11.435311 5.058230 0.11 -0.16 -0.47 -0.21
H 6.194139 -13.503860 5.620247 -0.09 0.00 -0.08 0.13
C 6.822576 -12.331038 1.423850 -0.41 0.33 -0.53 -0.37
O 7.541879 -12.022165 0.228346 -0.05 -0.19 0.28 -0.54
H 6.802078 -11.475068 2.104717 0.25 -0.14 0.16 0.20
H 5.785700 -12.492311 1.124255 0.07 -0.11 0.00 0.31
H 7.183342 -13.237015 1.909860 0.11 0.06 0.12 0.13
H 8.476666 -12.170278 0.390054 0.03 0.06 0.01 0.30
C 4.931065 -16.355025 7.724842 -0.53 -0.21 -0.74 -0.47
O 3.725329 -16.034208 8.406089 0.11 -0.10 0.30 -0.51
H 4.710540 -16.981904 6.846686 0.07 0.07 0.05 0.32
H 5.452367 -15.462198 7.380361 0.24 -0.02 0.25 0.17
H 5.555138 -16.952930 8.379083 0.07 0.23 0.26 0.27
H 3.157206 -15.526707 7.824348 0.01 -0.01 -0.06 0.27
C 10.979939 -13.793425 6.690110 -0.37 0.60 0.67 -0.33
O 12.180107 -13.029204 6.832890 -0.25 -0.34 0.13 -0.56
H 10.542217 -13.891035 7.674360 0.20 -0.37 0.24 0.35
H 10.248019 -13.305098 6.025367 0.20 -0.27 1.31 -0.06
H 11.177659 -14.760524 6.214288 -0.05 -0.32 0.62 0.46
H 12.558832 -12.867623 5.966645 0.03 0.17 -0.08 0.34
O 5.479596 -12.830463 8.232146 -0.09 0.20 -0.12 -0.62
H 6.360743 -12.496577 8.511602 -0.10 -0.23 0.11 0.32
H 4.873342 -12.106327 8.424866 0.09 0.00 0.09 0.28
O 7.890243 -11.861771 9.337734 -0.06 -0.07 -0.31 -0.67

### Job
Restate everything above exactly.

### Written answer
[1]
A 7-piece molecular cluster, H15NO6 overall. Source: the Open Molecules 2025 dataset; level of theory: ωB97M-V/def2-TZVPD.

For the energy above the lowest of the compared OMol25 structures with the same formula, charge and spin, the calculation gives 19.5 kcal per mole. As for the HOMO energy: -10.0 eV. Its energy is -515.18839 Ha. As for the spin multiplicity: 1. The gap between HOMO and LUMO is 10.425 eV. As for the SMILES: N.O.O.O.O.O.O.

```
22
Properties=species:S:1:pos:R:3:forces:R:3:mulliken_charge:R:1
N 2.654340 -1.380803 2.898147 0.45 -0.11 0.21 -0.67
H 2.540868 -1.972516 3.716029 -0.06 0.10 -0.14 0.22
H 1.790698 -0.869881 2.754378 0.24 0.13 0.04 0.23
H 3.439109 -0.752708 3.098154 -0.66 -0.12 -0.17 0.24
O -0.873500 -2.328373 -1.560684 -0.30 0.01 -0.64 -0.72
H -1.249409 -2.042389 -0.703873 0.29 -0.06 0.00 0.38
H 0.035986 -2.615267 -1.487699 0.07 -0.03 0.41 0.30
O 0.481077 2.075311 -2.340011 -0.59 -0.13 -0.52 -0.65
H -0.341652 1.681241 -2.681657 0.08 -0.27 0.34 0.33
H 0.885869 2.315375 -3.180776 0.43 0.16 0.23 0.29
O 0.920764 2.423606 4.043174 0.03 -0.09 -0.61 -0.64
H 0.884101 1.522077 3.702949 -0.03 -0.11 0.29 0.32
H 0.979780 2.920310 3.215380 0.00 0.19 0.29 0.32
O -2.243578 -1.046141 0.358195 0.15 0.53 0.00 -0.72
H -1.711065 -0.232427 0.248057 -0.07 -0.48 0.17 0.36
H -3.084533 -0.866015 -0.075186 -0.01 -0.01 0.02 0.33
O 0.382435 0.443849 0.220659 0.33 0.23 -1.28 -0.64
H 0.949164 0.079146 -0.483868 0.06 -0.79 0.70 0.32
H 0.214806 1.229642 -0.319283 -0.45 0.72 0.52 0.33
O -1.309477 -0.203981 -3.391358 0.04 -0.86 -0.03 -0.62
H -1.365998 -0.693183 -4.221245 -0.09 0.53 -0.29 0.32
H -1.193919 -0.979279 -2.796894 0.10 0.45 0.45 0.38
```
Forces are in eV/Å.



[2]
A 13-piece molecular cluster, C5H36O13 overall. Source: the Open Molecules 2025 dataset; level of theory: ωB97M-V/def2-TZVPD.

For the energy above the lowest of the compared OMol25 structures with the same formula, charge and spin, the calculation gives 45.0 kcal per mole. As for the HOMO energy: -10.0 eV. Its energy is -1190.09776 Ha. As for the spin multiplicity: 1. The gap between HOMO and LUMO is 10.050 eV.

```
54
Properties=species:S:1:pos:R:3:forces:R:3:mulliken_charge:R:1
C 10.791462 -9.941335 4.494210 0.19 0.03 -0.07 -0.72
O 10.557953 -10.858017 5.550011 -0.13 0.37 -0.21 -0.43
H 9.954769 -9.902949 3.788900 0.02 0.00 -0.03 0.25
H 10.928801 -8.949006 4.924931 -0.08 -0.02 0.04 0.27
H 11.708326 -10.184013 3.949648 -0.07 -0.04 -0.04 0.32
H 10.642505 -11.753378 5.182784 -0.02 0.11 -0.03 0.19
C 7.411535 -11.994178 5.239165 -0.48 -0.03 1.04 0.77
O 7.131709 -13.395786 5.426155 0.63 0.34 -0.38 -0.12
H 7.809386 -11.546378 6.158463 0.13 -0.32 -0.13 -0.31
H 8.143467 -11.868243 4.448750 -0.07 0.02 -0.21 0.00
H 6.489412 -11.435311 5.058230 0.11 -0.16 -0.47 -0.21
H 6.194139 -13.503860 5.620247 -0.09 0.00 -0.08 0.13
C 6.822576 -12.331038 1.423850 -0.41 0.33 -0.53 -0.37
O 7.541879 -12.022165 0.228346 -0.05 -0.19 0.28 -0.54
H 6.802078 -11.475068 2.104717 0.25 -0.14 0.16 0.20
H 5.785700 -12.492311 1.124255 0.07 -0.11 0.00 0.31
H 7.183342 -13.237015 1.909860 0.11 0.06 0.12 0.13
H 8.476666 -12.170278 0.390054 0.03 0.06 0.01 0.30
C 4.931065 -16.355025 7.724842 -0.53 -0.21 -0.74 -0.47
O 3.725329 -16.034208 8.406089 0.11 -0.10 0.30 -0.51
H 4.710540 -16.981904 6.846686 0.07 0.07 0.05 0.32
H 5.452367 -15.462198 7.380361 0.24 -0.02 0.25 0.17
H 5.555138 -16.952930 8.379083 0.07 0.23 0.26 0.27
H 3.157206 -15.526707 7.824348 0.01 -0.01 -0.06 0.27
C 10.979939 -13.793425 6.690110 -0.37 0.60 0.67 -0.33
O 12.180107 -13.029204 6.832890 -0.25 -0.34 0.13 -0.56
H 10.542217 -13.891035 7.674360 0.20 -0.37 0.24 0.35
H 10.248019 -13.305098 6.025367 0.20 -0.27 1.31 -0.06
H 11.177659 -14.760524 6.214288 -0.05 -0.32 0.62 0.46
H 12.558832 -12.867623 5.966645 0.03 0.17 -0.08 0.34
O 5.479596 -12.830463 8.232146 -0.09 0.20 -0.12 -0.62
H 6.360743 -12.496577 8.511602 -0.10 -0.23 0.11 0.32
H 4.873342 -12.106327 8.424866 0.09 0.00 0.09 0.28
O 7.890243 -11.861771 9.337734 -0.06 -0.07 -0.31 -0.67